== File ==
Record 1
VASP calculation (r2SCAN) on a geometry-optimized PrTmS3 structure.

Cell: 11.019 3.957 21.483 Å, 90.00 101.42 90.00°
Space group P2_1/m (No. 11)
One atom of each set of equivalent atoms:
Pr 0.091 0.250 0.364 [2 per cell]
Pr 0.201 0.250 0.037 [2 per cell]
Pr 0.303 0.750 0.734 [2 per cell]
Pr 0.309 0.250 0.233 [2 per cell]
Tm 0.029 0.250 0.851 [2 per cell]
Tm 0.181 0.250 0.546 [2 per cell]
Tm 0.447 0.250 0.917 [2 per cell]
Tm 0.478 0.750 0.413 [2 per cell]
S 0.036 0.250 0.229 [2 per cell]
S 0.058 0.750 0.944 [2 per cell]
S 0.086 0.750 0.464 [2 per cell]
S 0.125 0.250 0.663 [2 per cell]
S 0.204 0.750 0.135 [2 per cell]
S 0.253 0.750 0.327 [2 per cell]
S 0.254 0.250 0.825 [2 per cell]
S 0.342 0.750 0.598 [2 per cell]
S 0.357 0.750 0.986 [2 per cell]
S 0.365 0.250 0.464 [2 per cell]
S 0.455 0.250 0.134 [2 per cell]
S 0.494 0.250 0.720 [2 per cell]

Summary:
The value obtained for the calculated volume is 23.0 A^3/atom. Its crystal system is monoclinic. As for the energy of formation: -2.39 eV/atom. The size of the total moment is 0.0 μB per formula unit. As for the total DFT energy (no corrections): -20.11 eV/atom.

Record 2
VASP calculation (r2SCAN) on a geometry-optimized Hf2Co4P3 structure.

Cell: 11.9474 11.9474 3.6157 Å, 90.00 90.00 120.00°
Space group P-62m (No. 189)
One atom of each set of equivalent atoms:
Hf 0.0000 0.1741 0.0000 [3 per cell]
Hf 0.0000 0.5565 0.5000 [3 per cell]
Hf 0.3333 0.6667 0.5000 [2 per cell]
Co 0.0000 0.0000 0.5000 [1 per cell]
Co 0.0000 0.7215 0.0000 [3 per cell]
Co 0.1269 0.4831 0.0000 [6 per cell]
Co 0.1797 0.8070 0.5000 [6 per cell]
P 0.0000 0.3445 0.5000 [3 per cell]
P 0.0000 0.8247 0.5000 [3 per cell]
P 0.1738 0.6915 0.0000 [6 per cell]

Summary:
The value obtained for the calculated volume is 12.4 A^3/atom. Its crystal system is hexagonal. As for the energy of formation: -0.96 eV/atom. The size of the total moment is 0.5 μB per formula unit. As for the total DFT energy (no corrections): -19.87 eV/atom.

Record 3
VASP calculation (r2SCAN) on a geometry-optimized Al7Cu2Ru structure.

Cell: 6.387 6.387 14.774 Å, 90.00 90.00 90.00°
Space group P4/mnc (No. 128)
One atom of each set of equivalent atoms:
Al 0.000 0.000 0.130 [4 per cell]
Al 0.085 0.299 0.403 [16 per cell]
Al 0.157 0.657 0.250 [8 per cell]
Cu 0.089 0.732 0.000 [8 per cell]
Ru 0.000 0.000 0.299 [4 per cell]

Summary:
The value obtained for the calculated volume is 15.1 A^3/atom. Its crystal system is tetragonal. As for the energy of formation: -0.35 eV/atom. The size of the total moment is 0.0 μB per formula unit. As for the total DFT energy (no corrections): -9.78 eV/atom.

Record 4
VASP calculation (r2SCAN) on a geometry-optimized Sr3VN3 structure.

Cell: 7.7175 7.7175 5.3767 Å, 90.00 90.00 120.00°
Space group P6_3/m (No. 176)
One atom of each set of equivalent atoms:
Sr 0.0952 0.3692 0.2500 [6 per cell]
V 0.3333 0.6667 0.7500 [2 per cell]
N 0.1234 0.4132 0.7500 [6 per cell]

Summary:
The value obtained for the calculated volume is 19.8 A^3/atom. Its crystal system is hexagonal. As for the energy of formation: -1.09 eV/atom. The size of the total moment is 0.0 μB per formula unit. As for the total DFT energy (no corrections): -13.50 eV/atom.

Record 5
VASP calculation (r2SCAN) on a geometry-optimized HoCd structure.

Cell: 3.705 3.705 3.705 Å, 90.00 90.00 90.00°
Space group Pm-3m (No. 221)
One atom of each set of equivalent atoms:
Ho 0.000 0.000 0.000 [1 per cell]
Cd 0.500 0.500 0.500 [1 per cell]

Summary:
The value obtained for the calculated volume is 25.4 A^3/atom. Its crystal system is cubic. As for the energy of formation: -0.38 eV/atom. The size of the total moment is 0.0 μB per formula unit. As for the total DFT energy (no corrections): -26.87 eV/atom.

Record 6
VASP calculation (r2SCAN) on a geometry-optimized ZrOs structure.

Cell: 3.276 3.276 3.276 Å, 90.00 90.00 90.00°
Space group Pm-3m (No. 221)
One atom of each set of equivalent atoms:
Zr 0.000 0.000 0.000 [1 per cell]
Os 0.500 0.500 0.500 [1 per cell]

== Wanted ==
What is needed: give back the whole of the lines earlier on without altering anything.

== Result ==
Record 1
VASP calculation (r2SCAN) on a geometry-optimized PrTmS3 structure.

Cell: 11.019 3.957 21.483 Å, 90.00 101.42 90.00°
Space group P2_1/m (No. 11)
One atom of each set of equivalent atoms:
Pr 0.091 0.250 0.364 [2 per cell]
Pr 0.201 0.250 0.037 [2 per cell]
Pr 0.303 0.750 0.734 [2 per cell]
Pr 0.309 0.250 0.233 [2 per cell]
Tm 0.029 0.250 0.851 [2 per cell]
Tm 0.181 0.250 0.546 [2 per cell]
Tm 0.447 0.250 0.917 [2 per cell]
Tm 0.478 0.750 0.413 [2 per cell]
S 0.036 0.250 0.229 [2 per cell]
S 0.058 0.750 0.944 [2 per cell]
S 0.086 0.750 0.464 [2 per cell]
S 0.125 0.250 0.663 [2 per cell]
S 0.204 0.750 0.135 [2 per cell]
S 0.253 0.750 0.327 [2 per cell]
S 0.254 0.250 0.825 [2 per cell]
S 0.342 0.750 0.598 [2 per cell]
S 0.357 0.750 0.986 [2 per cell]
S 0.365 0.250 0.464 [2 per cell]
S 0.455 0.250 0.134 [2 per cell]
S 0.494 0.250 0.720 [2 per cell]

Summary:
The value obtained for the calculated volume is 23.0 A^3/atom. Its crystal system is monoclinic. As for the energy of formation: -2.39 eV/atom. The size of the total moment is 0.0 μB per formula unit. As for the total DFT energy (no corrections): -20.11 eV/atom.

Record 2
VASP calculation (r2SCAN) on a geometry-optimized Hf2Co4P3 structure.

Cell: 11.9474 11.9474 3.6157 Å, 90.00 90.00 120.00°
Space group P-62m (No. 189)
One atom of each set of equivalent atoms:
Hf 0.0000 0.1741 0.0000 [3 per cell]
Hf 0.0000 0.5565 0.5000 [3 per cell]
Hf 0.3333 0.6667 0.5000 [2 per cell]
Co 0.0000 0.0000 0.5000 [1 per cell]
Co 0.0000 0.7215 0.0000 [3 per cell]
Co 0.1269 0.4831 0.0000 [6 per cell]
Co 0.1797 0.8070 0.5000 [6 per cell]
P 0.0000 0.3445 0.5000 [3 per cell]
P 0.0000 0.8247 0.5000 [3 per cell]
P 0.1738 0.6915 0.0000 [6 per cell]

Summary:
The value obtained for the calculated volume is 12.4 A^3/atom. Its crystal system is hexagonal. As for the energy of formation: -0.96 eV/atom. The size of the total moment is 0.5 μB per formula unit. As for the total DFT energy (no corrections): -19.87 eV/atom.

Record 3
VASP calculation (r2SCAN) on a geometry-optimized Al7Cu2Ru structure.

Cell: 6.387 6.387 14.774 Å, 90.00 90.00 90.00°
Space group P4/mnc (No. 128)
One atom of each set of equivalent atoms:
Al 0.000 0.000 0.130 [4 per cell]
Al 0.085 0.299 0.403 [16 per cell]
Al 0.157 0.657 0.250 [8 per cell]
Cu 0.089 0.732 0.000 [8 per cell]
Ru 0.000 0.000 0.299 [4 per cell]

Summary:
The value obtained for the calculated volume is 15.1 A^3/atom. Its crystal system is tetragonal. As for the energy of formation: -0.35 eV/atom. The size of the total moment is 0.0 μB per formula unit. As for the total DFT energy (no corrections): -9.78 eV/atom.

Record 4
VASP calculation (r2SCAN) on a geometry-optimized Sr3VN3 structure.

Cell: 7.7175 7.7175 5.3767 Å, 90.00 90.00 120.00°
Space group P6_3/m (No. 176)
One atom of each set of equivalent atoms:
Sr 0.0952 0.3692 0.2500 [6 per cell]
V 0.3333 0.6667 0.7500 [2 per cell]
N 0.1234 0.4132 0.7500 [6 per cell]

Summary:
The value obtained for the calculated volume is 19.8 A^3/atom. Its crystal system is hexagonal. As for the energy of formation: -1.09 eV/atom. The size of the total moment is 0.0 μB per formula unit. As for the total DFT energy (no corrections): -13.50 eV/atom.

Record 5
VASP calculation (r2SCAN) on a geometry-optimized HoCd structure.

Cell: 3.705 3.705 3.705 Å, 90.00 90.00 90.00°
Space group Pm-3m (No. 221)
One atom of each set of equivalent atoms:
Ho 0.000 0.000 0.000 [1 per cell]
Cd 0.500 0.500 0.500 [1 per cell]

Summary:
The value obtained for the calculated volume is 25.4 A^3/atom. Its crystal system is cubic. As for the energy of formation: -0.38 eV/atom. The size of the total moment is 0.0 μB per formula unit. As for the total DFT energy (no corrections): -26.87 eV/atom.

Record 6
VASP calculation (r2SCAN) on a geometry-optimized ZrOs structure.

Cell: 3.276 3.276 3.276 Å, 90.00 90.00 90.00°
Space group Pm-3m (No. 221)
One atom of each set of equivalent atoms:
Zr 0.000 0.000 0.000 [1 per cell]
Os 0.500 0.500 0.500 [1 per cell]